- 3 mins
Exploring Nature in the Classroom
Thankfully there is more of a focus on saving the planet these days. This might be because we need to focus on it quite drastically. All the more reasons for us, as parents and caregivers, to show our children how they can get involved.
There are quite a few rules with recycling and how to clean the items, which is important. Sometimes, we can’t recycle items, but we can always teach our children to reuse some of these things to create art or practical items. For example, some black bags are not recyclable, but we can always use these bags to create a pinata or perhaps a paper mache project.
-- Calculated crystals, as found in the file --
A relaxed LiBiS2 crystal, computed with PBE.

```
LiBiS2
1.0
-0.684 3.007 -2.554
1.665 -2.130 -2.954
-4.865 -2.132 -1.206
S Bi Li
2 1 1
Direct
0.000 0.000 0.500
0.500 0.500 0.000
0.500 0.500 0.500
0.000 0.000 0.000
```

Results
- Raw total energy: -0.154 hartree per atom
- Crystal system: tetragonal
- ΔH_f (0 K): -0.921 eV per atom

***

A relaxed Li3BiS4 crystal, computed with PBE.

```
Li3BiS4
1.0
-0.981 2.450 -6.636
2.310 -8.793 -3.588
-9.723 -2.729 0.429
S Bi Li
16 4 12
Direct
0.506 0.695 0.750
0.643 0.016 0.478
0.143 0.484 0.478
0.038 0.801 0.250
0.962 0.199 0.750
0.494 0.305 0.250
0.357 0.984 0.522
0.462 0.301 0.750
0.643 0.016 0.022
0.994 0.195 0.250
0.857 0.516 0.978
0.143 0.484 0.022
0.357 0.984 0.978
0.538 0.699 0.250
0.006 0.805 0.750
0.857 0.516 0.522
0.252 0.518 0.750
0.752 0.982 0.750
0.248 0.018 0.250
0.748 0.482 0.250
0.309 0.892 0.750
0.809 0.608 0.750
0.772 0.784 0.412
0.191 0.392 0.250
0.728 0.284 0.912
0.228 0.216 0.912
0.272 0.716 0.088
0.272 0.716 0.412
0.228 0.216 0.588
0.691 0.108 0.250
0.772 0.784 0.088
0.728 0.284 0.588
```

Results
- Raw total energy: -0.148 hartree per atom
- Crystal system: orthorhombic
- ΔH_f (0 K): -1.017 eV per atom

***

A relaxed LiBiS2 crystal, computed with PBE.

```
LiBiS2
1.0
6.445 -1.989 0.000
6.445 1.989 0.000
5.831 0.000 3.391
S Li Bi
2 1 1
Direct
0.246 0.246 0.246
0.754 0.754 0.754
0.500 0.500 0.500
0.000 0.000 0.000
```

Results
- Raw total energy: -0.156 hartree per atom
- Crystal system: trigonal
- ΔH_f (0 K): -0.987 eV per atom

***

A relaxed Li3SmBi2 crystal, computed with PBE.

```
Li3SmBi2
1.0
2.346 -4.063 0.000
2.346 4.063 0.000
0.000 0.000 7.401
Bi Li Sm
2 3 1
Direct
0.333 0.667 0.749
0.667 0.333 0.251
0.667 0.333 0.651
0.000 0.000 0.500
0.333 0.667 0.349
0.000 0.000 0.000
```

Results
- Raw total energy: -0.137 hartree per atom
- Crystal system: trigonal
- ΔH_f (0 K): -0.679 eV per atom

***

A relaxed SrLiBi crystal, computed with PBE.

```
SrLiBi
1.0
-2.837 3.650 1.767
-4.250 0.111 -7.051
-5.531 -5.869 3.242
Sr Bi Li
4 4 4
Direct
0.250 0.503 0.291
0.750 0.497 0.709
0.250 0.003 0.209
0.750 0.997 0.791
0.750 0.224 0.406
0.250 0.776 0.594
0.750 0.724 0.094
0.250 0.276 0.906
0.250 0.163 0.575
0.250 0.663 0.925
0.750 0.837 0.425
0.750 0.337 0.075
```

Results
- Raw total energy: -0.122 hartree per atom
- Crystal system: orthorhombic
- ΔH_f (0 K): -0.827 eV per atom

***

A relaxed Li3YBi2 crystal, computed with PBE.

```
Li3YBi2
1.0
1.036 2.757 -3.636
3.307 -2.713 1.896
-1.788 -5.393 -4.597
Li Bi Y
3 2 1
Direct
0.333 0.667 0.345
0.667 0.333 0.655
0.000 0.000 0.500
0.667 0.333 0.247
0.333 0.667 0.753
0.000 0.000 0.000
```

Results
- Raw total energy: -0.147 hartree per atom
- Crystal system: trigonal
- ΔH_f (0 K): -0.666 eV per atom

***

A relaxed LuBi3 crystal, computed with PBE.

```
LuBi3
1.0
3.412 -5.909 0.000
3.412 5.909 0.000
0.000 0.000 5.960
Bi Lu
6 2
Direct
0.346 0.173 0.750
0.654 0.827 0.250
0.827 0.173 0.750
0.827 0.654 0.750
0.173 0.346 0.250
0.173 0.827 0.250
One of the most special getaways I had with my mom was to a “plant a tree” festival in South Africa. We camped over a weekend and planted as many trees as we could. We were able to name our trees, and we were told how long it would take to reforest certain areas and what this would mean for the environment. It was a wonderfully educational yet super fun weekend. I recommend teaching your child what planting a tree can mean for them, and other organisms benefit from this fun, functional, and highly needed activity.
........
## LiCo3SbP6O24 (PBE with a Hubbard U)

Data for a relaxed structure of LiCo3SbP6O24.

Volume   459.0 Å³/cell
Spin magnetization   3.0 μB/f.u.
SG   R3 (146)
Energy above the lowest structure with this stoichiometry   0.020 eV/atom
ΔE_f   -2063 meV/atom

Geometry as CIF:
```
data_LiCo3SbP6O24
_chemical_formula_sum 'Li1 Co3 Sb1 P6 O24'
_cell_length_a 8.757
_cell_length_b 8.757
_cell_length_c 8.757
_cell_angle_alpha 58.54
_cell_angle_beta 58.54
_cell_angle_gamma 58.54
_space_group_name_H-M_alt 'P 1'
_space_group_IT_number 1
_space_group_name_Hall 'P 1'
loop_
_atom_site_label
_atom_site_fract_x
_atom_site_fract_y
_atom_site_fract_z
O1 0.372 0.984 0.219
O2 0.219 0.372 0.984
O3 0.490 0.864 0.721
O4 0.144 0.276 0.509
O5 0.984 0.219 0.372
O6 0.562 0.785 0.425
O7 0.438 0.224 0.572
O8 0.623 0.013 0.789
O9 0.721 0.490 0.864
O10 0.080 0.728 0.943
O11 0.572 0.438 0.224
O12 0.943 0.080 0.728
O13 0.276 0.509 0.144
O14 0.269 0.060 0.920
O15 0.060 0.920 0.269
O16 0.785 0.425 0.562
O17 0.728 0.943 0.080
O18 0.224 0.572 0.438
O19 0.509 0.144 0.276
O20 0.013 0.789 0.623
O21 0.789 0.623 0.013
O22 0.920 0.269 0.060
O23 0.425 0.562 0.785
O24 0.864 0.721 0.490
P1 0.461 0.041 0.744
P2 0.041 0.744 0.461
P3 0.251 0.541 0.968
P4 0.541 0.968 0.251
P5 0.968 0.251 0.541
P6 0.744 0.461 0.041
Li1 0.990 0.990 0.990
Co1 0.852 0.852 0.852
Co2 0.644 0.644 0.644
Co3 0.356 0.356 0.356
Sb1 0.144 0.144 0.144
```


## LiCo3SbP6O24 (PBE with a Hubbard U)

Data for a relaxed structure of LiCo3SbP6O24.

Volume   434.8 Å³/cell
Spin magnetization   3.0 μB/f.u.
SG   P1 (1)
Energy above the lowest structure with this stoichiometry   0.000 eV/atom
ΔE_f   -2083 meV/atom

Geometry as CIF:
```
data_LiCo3SbP6O24
_chemical_formula_sum 'Li1 Co3 Sb1 P6 O24'
_cell_length_a 8.513
_cell_length_b 8.514
_cell_length_c 8.526
_cell_angle_alpha 59.75
_cell_angle_beta 59.77
_cell_angle_gamma 59.83
_space_group_name_H-M_alt 'P 1'
_space_group_IT_number 1
_space_group_name_Hall 'P 1'
loop_
_atom_site_label
_atom_site_fract_x
_atom_site_fract_y
_atom_site_fract_z
P1 0.747 0.454 0.043
P2 0.043 0.747 0.453
P3 0.254 0.525 0.963
P4 0.525 0.967 0.253
P5 0.965 0.254 0.522
P6 0.451 0.044 0.747
O1 0.703 0.491 0.874
O2 0.575 0.440 0.237
O3 0.437 0.239 0.575
O4 0.772 0.422 0.544
O5 0.192 0.369 0.991
O6 0.021 0.791 0.621
O7 0.305 0.499 0.125
O8 0.915 0.260 0.064
O9 0.795 0.620 0.018
O10 0.622 0.016 0.792
O11 0.542 0.774 0.418
O12 0.872 0.708 0.489
O13 0.723 0.945 0.084
O14 0.945 0.086 0.720
O15 0.066 0.919 0.260
O16 0.508 0.128 0.299
O17 0.261 0.067 0.916
O18 0.131 0.299 0.495
O19 0.487 0.875 0.703
O20 0.419 0.543 0.770
O21 0.087 0.724 0.944
O22 0.364 0.999 0.195
O23 0.236 0.577 0.436
O24 0.985 0.201 0.364
Co1 0.137 0.141 0.139
Co2 0.637 0.641 0.638
Co3 0.358 0.356 0.354
Li1 0.489 0.500 0.496
Sb1 0.861 0.860 0.859
```


## Li4CoSn3P4O16 (PBE with a Hubbard U)

Data for a relaxed structure of Li4CoSn3P4O16.

Volume   359.3 Å³/cell
Spin magnetization   3.0 μB/f.u.
SG   Pm (6)
Maximum piezoelectric response   0.8 C/m²
........
I travel often. I used to travel more pre-Covid, but I still get away quite frequently. When I started traveling a couple of decades ago, I decided not to buy too many worldly things. I created a rule – whenever I buy a pair of shorts, I have to gift one of my current pairs to someone less fortunate. I have followed this rule for many years and will implement it with the children I work with. If they receive a box of Lego designs, they should think of gifting an older design to a less fortunate child or perhaps someone in hospital undergoing medical treatment. The art of giving teaches us more than just being grateful for what we have. It helps us connect in such a celebratory manner.
I live in a beach town, and “beach clean-ups” are often organized. There was also a Facebook group that was quite popular that encouraged people to pick three rubbish items up from the beaches and then post them on the Facebook group. Imagine if we all just picked up three pieces of rubbish every time we walked around? What a difference that could make for our beautiful planet. Perhaps your child can start a research project to show what a difference this could make and, in the process, inspire others to do similar projects?
I am pretty lucky to have a partner that is a chef. He helps me think of ideas for leftover food and waste as little as possible. It might be wise to start a little younger than my age to teach our children how to make soups from leftover veggies or freeze berries to ensure they don’t go off. This can even lead to your child making snacks for you – a win-win situation!
To be mindful of the environment, we have to help our children be mindful. Moshi has some excellent meditation tracks that you can do with your child to ensure they are present in the moment, ready to think of the environment that they are mindfully living in. Click here to listen to Peekaboo’s Relaxing Roots.